SoP 011 - A : System Average Interrruption Frequency Index (SAIFI) for JGY category
Month Ni - Number of Customers for each sustained interruptions (in numbers) NT - Total No of customers served
(in Numbers)
CI= Ni SAIFI = ∑ Ni/Nt
(Monthly SAIFI)
1 2 3 4 5 6=5/4
1 Apr-17 1507871.00 1696677.00 8659190.00 5.10
2 May-17 1476021.00 1697752.00 9453553.00 5.57
3 Jun-17 1567576.00 1699039.00 16358121.00 9.63
  1st Qtr 4551468.00 1699039.00 34470864.00 20.29
4 Jul-17 1623312.00 1700268.00 21518673.00 12.66
5 Aug-17 1636160.00 1701302.00 15935147.00 9.37
6 Sep-17 1574838.00 1702178.00 13346311.00 7.84
  2nd Qtr 4834310.00 1702178.00 50800131.00 29.84
7 Oct-17 1484792.00 1702446.00 9692709.00 5.69
8 Nov-17 1462092.00 1704517.00 8757584.00 5.14
• Data records, kept here for reference:
=====
1.
# La2ZrCuO6

A relaxed structure of La2ZrCuO6 (PBE, the Materials Project).

Computed properties:
Density ... 6455 kg/m3
DFT total energy ... -8.07 eV/atom
Formation energy from the elements ... -3.260 eV per atom

Lattice parameters (Å, degrees): 7.9224 7.9039 8.6917 87.85 90.00 90.00
Closest atoms and distances in Å follow each position.
Element x y z (fractional)
La  0.7500  0.7966  0.7407  5 O 2.45-2.59
La  0.2500  0.7167  0.7058  6 O 2.45-2.63
La  0.7500  0.7690  0.3069  4 O 2.36-2.58
La  0.2500  0.2310  0.6931  4 O 2.36-2.58
La  0.7500  0.2849  0.7285  4 O 2.36-2.55
La  0.2500  0.7151  0.2715  4 O 2.36-2.55
La  0.2500  0.2034  0.2593  5 O 2.45-2.59
La  0.7500  0.2833  0.2942  6 O 2.45-2.63
Cu  0.5000  0.5000  0.5000  4 O 1.99-2.05
Cu  0.5000  0.0000  0.5000  4 O 2.01
Cu  0.0000  0.0000  0.5000  4 O 2.01
Cu  0.0000  0.5000  0.5000  4 O 1.99-2.05
O  0.5532  0.5662  0.2272  1 Zr 2.10
O  0.0319  0.2495  0.4531  2 Cu 2.01-2.05
O  0.4465  0.7519  0.9229  2 Zr 2.12-2.14
O  0.2500  0.9713  0.5315  2 Cu 2.01
O  0.7500  0.0287  0.4685  2 Cu 2.01
O  0.0535  0.7519  0.9229  2 Zr 2.12-2.14
O  0.4681  0.2495  0.4531  2 Cu 2.01-2.05
O  0.9465  0.2481  0.0771  2 Zr 2.12-2.14
O  0.9468  0.5662  0.2272  1 Zr 2.10
O  0.0532  0.4338  0.7728  1 Zr 2.10
O  0.0568  0.9421  0.2322  1 Zr 2.10
O  0.4468  0.4338  0.7728  1 Zr 2.10
O  0.7500  0.4721  0.5108  2 Cu 1.99
O  0.2500  0.0857  0.9637  2 Zr 2.11
O  0.9432  0.0579  0.7678  1 Zr 2.10
O  0.5535  0.2481  0.0771  2 Zr 2.12-2.14
O  0.7500  0.9143  0.0363  2 Zr 2.11
O  0.5319  0.7505  0.5469  2 Cu 2.01-2.05
O  0.2500  0.5279  0.4892  2 Cu 1.99
O  0.5568  0.0579  0.7678  1 Zr 2.10
O  0.9681  0.7505  0.5469  2 Cu 2.01-2.05
O  0.7500  0.5292  0.9120  2 Zr 2.13
O  0.4432  0.9421  0.2322  1 Zr 2.10
O  0.2500  0.4708  0.0880  2 Zr 2.13
Zr  0.5000  0.5000  0.0000  6 O 2.10-2.13
Zr  0.0000  0.0000  0.0000  6 O 2.10-2.14
Zr  0.5000  0.0000  0.0000  6 O 2.10-2.14
Zr  0.0000  0.5000  0.0000  6 O 2.10-2.13



2.
# CoCuS4

A relaxed structure of CoCuS4 (PBE, the Materials Project).

Computed properties:
Density ... 4637 kg/m3
DFT total energy ... -4.85 eV/atom
Formation energy from the elements ... -0.564 eV per atom

Lattice parameters (Å, degrees): 5.5932 5.5925 5.7425 89.00 90.00 90.00
Closest atoms and distances in Å follow each position.
Element x y z (fractional)
Cu  0.5000  0.5000  0.0000  6 S 2.39-2.53
Cu  0.0000  0.0000  0.0000  6 S 2.39-2.53
S  0.8825  0.8820  0.5921  1 S 2.13, 2 Co 2.30-2.31
S  0.6175  0.3820  0.5921  1 S 2.13, 2 Co 2.30-2.31
S  0.3825  0.6180  0.4079  1 S 2.13, 2 Co 2.30-2.31
S  0.4029  0.9000  0.8834  1 S 2.07
S  0.0971  0.4000  0.8834  1 S 2.07
S  0.9029  0.6000  0.1166  1 S 2.07
S  0.5971  0.1000  0.1166  1 S 2.07
S  0.1175  0.1180  0.4079  1 S 2.13, 2 Co 2.30-2.31
Co  0.0000  0.5000  0.5000  6 S 2.30-2.33
Co  0.5000  0.0000  0.5000  6 S 2.30-2.33



3.
# MgTi2

A relaxed structure of MgTi2 (PBE, the Materials Project).

Computed properties:
Density ... 3575 kg/m3
=====
9 Dec-17 1522277.00 1704384.00 9203340.00 5.40
  3rd Qtr 4469161.00 1704384.00 27653633.00 16.23
1 Jan-18 1464795.00 1704694.00 8627523.00 5.06
2 Feb-18 1415533.00 1705745.00 7043648.00 4.13
3 Mar-18 1391682.00 1706963.00 6632777.00 3.89
  4th Qtr 4272010.00 1706963.00 22303948.00 13.07
  Yearly Data 18126949.00 1706963.00 135228576.00 79.22
SoP 011 - B : System Average Interrruption Duration Index (SAIDI) for JGY category
Month Ri =
Restoration Time for each sustained interruption event
(in hours)
Ni - Number of interrupted Customers for each sustained interruption event
(in numbers)
Ri* Ni -
Total customer interrution Duration
NT - Total No of customers served
(in Numbers)
Customer Intt. Duration CMI = ΣRi*Ni SAIDI = ΣRi*Ni/Nt (Monthly SAIDI)
1 2 3 4 5 = 3 * 4 6 7 8=7/6
1 Apr-17 1:11 1507871.00 1784529:50 1696677.00 430136.07 6:05
2 May-17 1:18 1476021.00 1920342:08 1697752.00 526744.73 7:26
3 Jun-17 1:18 1567576.00 2051932:08 1699039.00 880035.13 12:25
  1st Qtr 3:47 4551468.00 17265934:17 1699039.00 1836915.92 25:56
4 Jul-17 1:17 1623312.00 2108054:53 1700268.00 1117419.01 15:46
5 Aug-17 1:09 1636160.00 1889642:33 1701302.00 770847.04 10:52
6 Sep-17 1:09 1574838.00 1825020:49 1702178.00 653585.42 9:12
  2nd Qtr 3:36 4834310.00 17463468:06 1702178.00 2541851.47 35:50
7 Oct-17 1:06 1484792.00 1652081:01 1702446.00 457332.11 6:26
8 Nov-17 1:10 1462092.00 1713070:29 1704517.00 432258.37 6:05
9 Dec-17 1:23 1522277.00 2129697:40 1704384.00 519743.13 7:19
  3rd Qtr 3:41 4469161.00 16461468:44 1704384.00 1409333.61 19:50
1 Jan-18 1:13 1464795.00 1791832:45 1704694.00 449312.24 6:19
2 Feb-18 1:15 1415533.00 1785055:48 1705745.00 381290.89 5:21
3 Mar-18 0:59 1391682.00 1389643:33 1706963.00 274859.45 3:51
  4th Qtr 3:28 4272010.00 14878765:47 1706963.00 1105462.58 15:32
  Yearly Data 14:34 18126949.00 ################### 1706963.00 6893563.58 96:55
SoP 011 - C : Momentary Average Interruption Frequency Index (MAIFI) for JGY category
Month IMi =
Number of Momentary interruptions for the month
(in numbers)
Nmi =
Total no of customers for each momentary interruptions
(in numbers)
Imi =Nmi
Number of customer Momentary interruptions
(in numbers)
Nt -
Total no of customers served
(in numbers)
Customer Intt. ΣImi*Nmi MAIFI=ΣImi*Nmi/Nt
1 2 3 4 5 = 3 * 4 6 7 8=7/6
1 Apr-17 11232.00 1612707.00 18113925024.00 1696677.00 16650323.00 9.81
2 May-17 11409.00 1583420.00 18065238780.00 1697752.00 17283032.00 10.18
3 Jun-17 18301.00 1647081.00 30143229381.00 1699039.00 26755011.00 15.75
  1st Qtr 40942.00 4843208.00 198290621936.00 1699039.00 60688366.00 35.72
4 Jul-17 22214.00 1653152.00 36723118528.00 1700268.00 32404137.00 19.06
5 Aug-17 16585.00 1648974.00 27348233790.00 1701302.00 23524516.00 13.83
6 Sep-17 15740.00 1632657.00 25698021180.00 1702178.00 22554146.00 13.25
  2nd Qtr 54539.00 4934783.00 269138130037.00 1702178.00 78482799.00 46.11
7 Oct-17 15231.00 1604742.00 24441825402.00 1702446.00 21658636.00 12.72
8 Nov-17 15479.00 1609060.00 24906639740.00 1704517.00 22203531.00 13.03
9 Dec-17 12094.00 1596172.00 19304104168.00 1704384.00 17851309.00 10.47
  3rd Qtr 42804.00 4809974.00 205886127096.00 1704384.00 61713476.00 36.21
1 Jan-18 10933.00 1578217.00 17254646461.00 1704694.00 15579039.00 9.14
2 Feb-18 9613.00 1573853.00 15129448889.00 1705745.00 13289270.00 7.79
3 Mar-18 11353.00 1657995.00 18823217235.00 1706963.00 16743716.00 9.81
  4th Qtr 31899.00 4810065.00 153436263435.00 1706963.00 45612025.00 26.72
  Yearly Data 170184.00 19398030.00 3301234337520.00 1706963.00 246496666.00 144.41